What to do.
It remains to find the line further below that holds "data_MnCuO3", then duplicate that line and all lines after it there.

Excerpt.
/*
# MnCuO3 PBE+U optimized geometry
data_MnCuO3
_cell_length_a 3.701
_cell_length_b 3.701
_cell_length_c 3.701
_cell_angle_alpha 90.00
_cell_angle_beta 90.00
_cell_angle_gamma 90.00
_space_group_name_H-M_alt 'P m -3 m'
_space_group_IT_number 221
_space_group_name_Hall '-P 4 2 3'
loop_
_atom_site_label
_atom_site_type_symbol
_atom_site_fract_x
_atom_site_fract_y
_atom_site_fract_z
_atom_site_occupancy
Mn1 Mn 0.000 0.000 0.000 1
Cu1 Cu 0.500 0.500 0.500 1
O1 O 0.000 0.500 0.500 1
# D(E_F) (states/eV/atom): 0.56
# Final energy (eV per atom): -5.731

----------

First-principles (PBE) data for an optimized crystal structure of U3CdSe6, as listed in the Alexandria database.

Calculated values
Total magnetic moment = 2.912 μB/f.u.
Formation energy without anion corrections = -0.974 eV per atom
Total DFT energy (no corrections) = -6.5431 eV per atom
DOS at the Fermi energy = 39.3 states/eV/cell

Cell lengths 6.9980, 8.9060, 8.9060 Å; angles 101.50, 90.00, 90.00 degrees
Element x y z (fractional)
U 0.4788 0.9207 0.7247
U 0.9788 0.7247 0.9207
U 0.3820 0.4005 0.5995
U 0.8820 0.5995 0.4005
U 0.9788 0.0793 0.2753
U 0.4788 0.2753 0.0793
Cd 0.0121 0.2035 0.7965
Cd 0.5121 0.7965 0.2035
Se 0.1801 0.6970 0.6276
Se 0.6801 0.6276 0.6970
Se 0.2214 0.4551 0.9091
Se 0.7214 0.9091 0.4551
Se 0.1915 0.0265 0.9735
Se 0.6390 0.2269 0.7731
Se 0.1390 0.7731 0.2269
Se 0.6915 0.9735 0.0265
Se 0.2214 0.0909 0.5449
Se 0.7214 0.5449 0.0909
Se 0.1801 0.3724 0.3030
Se 0.6801 0.3030 0.3724
*/

Here it is.
data_MnCuO3
_cell_length_a 3.701
_cell_length_b 3.701
_cell_length_c 3.701
_cell_angle_alpha 90.00
_cell_angle_beta 90.00
_cell_angle_gamma 90.00
_space_group_name_H-M_alt 'P m -3 m'
_space_group_IT_number 221
_space_group_name_Hall '-P 4 2 3'
loop_
_atom_site_label
_atom_site_type_symbol
_atom_site_fract_x
_atom_site_fract_y
_atom_site_fract_z
_atom_site_occupancy
Mn1 Mn 0.000 0.000 0.000 1
Cu1 Cu 0.500 0.500 0.500 1
O1 O 0.000 0.500 0.500 1
# D(E_F) (states/eV/atom): 0.56
# Final energy (eV per atom): -5.731

----------

First-principles (PBE) data for an optimized crystal structure of U3CdSe6, as listed in the Alexandria database.

Calculated values
Total magnetic moment = 2.912 μB/f.u.
Formation energy without anion corrections = -0.974 eV per atom
Total DFT energy (no corrections) = -6.5431 eV per atom
DOS at the Fermi energy = 39.3 states/eV/cell

Cell lengths 6.9980, 8.9060, 8.9060 Å; angles 101.50, 90.00, 90.00 degrees
Element x y z (fractional)
U 0.4788 0.9207 0.7247
U 0.9788 0.7247 0.9207
U 0.3820 0.4005 0.5995
U 0.8820 0.5995 0.4005
U 0.9788 0.0793 0.2753
U 0.4788 0.2753 0.0793
Cd 0.0121 0.2035 0.7965
Cd 0.5121 0.7965 0.2035
Se 0.1801 0.6970 0.6276
Se 0.6801 0.6276 0.6970
Se 0.2214 0.4551 0.9091
Se 0.7214 0.9091 0.4551
Se 0.1915 0.0265 0.9735
Se 0.6390 0.2269 0.7731
Se 0.1390 0.7731 0.2269
Se 0.6915 0.9735 0.0265
Se 0.2214 0.0909 0.5449
Se 0.7214 0.5449 0.0909
Se 0.1801 0.3724 0.3030
Se 0.6801 0.3030 0.3724